Request
Please search the notes underneath for the word "DFT-relaxed" and copy each line that has it.
Source
'''
(1)
Computed powder XRD pattern
Compound: Re2S2O13
Radiation: λ = 1.5418 Å (Cu Kα)
Structure: a DFT-relaxed cell (GGA-PBE, OQMD)

Structural model:
```
Re2S2O13
1.0
8.195 0.000 0.000
0.000 9.576 0.000
0.000 0.000 5.706
Re S O
4 4 26
Direct
0.185 0.105 0.000
0.315 0.605 0.000
0.685 0.395 0.000
0.815 0.895 0.000
0.133 0.824 0.345
0.367 0.324 0.345
0.633 0.676 0.345
0.867 0.176 0.345
0.000 0.000 0.911
0.043 0.142 0.320
0.112 0.261 0.896
0.149 0.684 0.206
0.179 0.807 0.583
0.184 0.550 0.787
0.237 0.926 0.215
0.263 0.426 0.215
0.316 0.050 0.787
0.321 0.307 0.583
0.351 0.184 0.206
0.388 0.761 0.896
0.457 0.642 0.320
0.500 0.500 0.911
0.543 0.358 0.320
0.612 0.239 0.896
0.649 0.816 0.206
0.679 0.693 0.583
0.684 0.950 0.787
0.737 0.574 0.215
0.763 0.074 0.215
0.816 0.450 0.787
0.821 0.193 0.583
0.851 0.316 0.206
0.888 0.739 0.896
0.957 0.858 0.320
```

Main lines, in order of falling intensity (2θ = 10–90°):
d (Å)	intensity
3.348	100.0
5.706	84.3
4.134	48.9
6.226	42.4
3.144	37.4
2.348	28.6
4.097	26.6
3.328	20.3
1.889	18.7
2.386	16.6

=====

(2)
Computed powder XRD pattern
Compound: Re2SO7
Radiation: λ = 1.5418 Å (Cu Kα)
Structure: a DFT-relaxed cell (GGA-PBE, OQMD)

Structural model:
```
Re2SO7
1.0
7.973 0.000 0.000
0.000 5.829 0.000
0.000 0.000 5.440
Re S O
4 2 14
Direct
0.231 0.207 0.000
0.269 0.793 0.500
0.731 0.793 0.500
0.769 0.207 0.000
0.000 0.482 0.625
0.500 0.518 0.125
0.000 0.238 0.052
0.000 0.267 0.504
0.000 0.693 0.452
0.164 0.522 0.770
0.229 0.014 0.734
0.271 0.986 0.234
0.336 0.478 0.270
0.500 0.307 0.952
0.500 0.733 0.004
0.500 0.762 0.552
0.664 0.478 0.270
0.729 0.986 0.234
0.771 0.014 0.734
0.836 0.522 0.770
```

Main lines, in order of falling intensity (2θ = 10–90°):
d (Å)	intensity
3.980	100.0
2.816	49.4
1.989	14.1
1.782	12.8
2.720	12.4
1.779	11.6
2.353	9.6
1.588	9.6
2.247	8.9
2.915	8.5

=====

(3)
Computed powder XRD pattern
Compound: Sm2Re2S2O5
Radiation: λ = 1.5418 Å (Cu Kα)
Structure: a DFT-relaxed cell (GGA-PBE, OQMD)

Structural model:
```
Sm2Re2S2O5
1.0
-1.989 1.989 10.902
1.989 -1.989 10.902
1.989 1.989 -10.902
Sm Re S O
2 2 2 5
Direct
0.164 0.164 0.000
0.836 0.836 0.000
0.416 0.416 0.000
0.584 0.584 0.000
0.298 0.298 0.000
0.702 0.702 0.000
0.098 0.598 0.500
0.402 0.902 0.500
0.500 0.500 0.000
0.598 0.098 0.500
0.902 0.402 0.500
```

Main lines, in order of falling intensity (2θ = 10–90°):
d (Å)	intensity
2.813	100.0
2.453	84.0
5.451	74.3
2.939	63.3
1.989	51.8
3.490	50.5
1.545	41.1
3.913	40.5
1.647	24.7
1.526	24.4

=====

(4)
Computed powder XRD pattern
Compound: Sc2ReO4
Radiation: λ = 1.5418 Å (Cu Kα)
Structure: a DFT-relaxed cell (GGA-PBE, OQMD)

Structural model:
```
Sc2ReO4
1.0
0.000 4.467 4.467
4.467 0.000 4.467
4.467 4.467 0.000
Sc Re O
4 2 8
Direct
0.000 0.000 0.000
0.000 0.000 0.500
0.000 0.500 0.000
0.500 0.000 0.000
0.375 0.375 0.375
0.625 0.625 0.625
0.212 0.763 0.763
0.237 0.237 0.237
0.237 0.237 0.788
0.237 0.788 0.237
0.763 0.212 0.763
0.763 0.763 0.212
0.763 0.763 0.763
0.788 0.237 0.237
```

Main lines, in order of falling intensity (2θ = 10–90°):
d (Å)	intensity
2.694	100.0
3.159	88.3
1.719	38.4
1.824	36.1
1.579	33.8
5.158	29.9
1.163	20.5
1.194	19.3
1.413	15.4
2.050	14.9

=====

(5)
Computed powder XRD pattern
Compound: Sc3ReO
Radiation: λ = 1.5418 Å (Cu Kα)
Structure: a DFT-relaxed cell (GGA-PBE, OQMD)

Structural model:
```
Sc3ReO
1.0
5.058 -2.316 0.000
5.058 2.316 0.000
-2.868 0.000 6.929
Sc Re O
6 2 2
Direct
0.108 0.108 0.220
0.149 0.149 0.651
0.373 0.373 0.088
0.627 0.627 0.912
0.851 0.851 0.349
0.892 0.892 0.780
0.396 0.396 0.547
0.604 0.604 0.453
0.133 0.133 0.938
0.867 0.867 0.062
```

Main lines, in order of falling intensity (2θ = 10–90°):
d (Å)	intensity
6.929	100.0
2.462	76.6
2.484	51.8
2.316	41.1
3.322	40.8
4.150	35.3
2.337	33.3
2.082	28.4
3.861	24.2
1.645	21.4

=====

(6)
Computed powder XRD pattern
Compound: Re2Si2O5
Radiation: λ = 1.5418 Å (Cu Kα)
Structure: a DFT-relaxed cell (GGA-PBE, OQMD)

Structural model:
```
Re2Si2O5
1.0
3.896 0.000 0.000
0.000 3.896 0.000
'''
Solution
Structure: a DFT-relaxed cell (GGA-PBE, OQMD)
Structure: a DFT-relaxed cell (GGA-PBE, OQMD)
Structure: a DFT-relaxed cell (GGA-PBE, OQMD)
Structure: a DFT-relaxed cell (GGA-PBE, OQMD)
Structure: a DFT-relaxed cell (GGA-PBE, OQMD)
Structure: a DFT-relaxed cell (GGA-PBE, OQMD)